Which Method Works
Van Build,  VanLife

Painting the Van Issues – Which Method works best? – Iveco Daily Van Conversion Week 7

Painting the van issues have been a plenty! Both Mark and I have been losing the will so what method works best?

To Roller or not to Roller

If you have scoured youtube as much as we have you will have also seen that roller painting your van seems to be the most popular option.  We found roller painting to give a horrible orange peel effect no matter what we did.  We tried various different paint consistencies.  Various different rollers.  Sanded down between coats and arghhhh is the only way I can describe it.

Every part of my body aches as does Marks so if you opt for doing this yourself be prepared to graft!

Tools and Techniques we Tried

After having many disasters with the rollers we also tried painting the van with a paintbrush and just by chance I picked up some paint pads from the Range and they seemed to give the best finish.

The pads have a soft almost velvet texture.  Although as you will see from the video there were varying finish results from them as well.

Sanding Between Coats

The sandpaper went from 400 grit to 320 to 240 and there was a lot of sanding and I really mean a lot.

To date this has definitely been the most challenging and arduous, even relentless job we have done on the van.

What Would We Do Differently

When or technically if we ever do this again, there are a few things we would do differently.  First if I had to hand paint (instead of spray paint) I would definitely not over work the paint.  I would leave it to sit and just walk away.  I would also go into the job knowing that many, many hours of sanding will take place!

**These crystal structures were left in the page by mistake**
=====
# 1
Here is PmGeO2 after structural relaxation from the Alexandria database. Energies are from PBE-GGA.

Cell lengths 6.985, 6.985, 6.985 Å; angles 28.52, 28.52, 28.52 degrees
Atoms (fractional coordinates):
Pm: 0.000 0.000 0.000
Ge: 0.500 0.500 0.500
O: 0.114 0.114 0.114
O: 0.886 0.886 0.886

- space-group type = R-3m (166)
- DOS at the Fermi energy (states/eV/cell) = 2.65

---

# 2
Here is NaY2Zr after structural relaxation from the Alexandria database. Energies are from PBE-GGA.

Cell lengths 5.474, 5.474, 5.474 Å; angles 60.00, 60.00, 60.00 degrees
Atoms (fractional coordinates):
Na: 0.000 0.000 0.000
Y: 0.250 0.250 0.250
Y: 0.750 0.750 0.750
Zr: 0.500 0.500 0.500

- DFT formation energy (eV/atom) = 0.41
- offset from the most stable computed form (kJ per mole of atoms) = 27.75
- space-group type = Fm-3m (225)
- DOS at the Fermi energy (states/eV/cell) = 6.58

---

# 3
Here is Er5In2Co after structural relaxation from the Alexandria database. Energies are from PBE-GGA.

Cell lengths 6.932, 12.273, 4.811 Å; angles 90.00, 90.00, 90.00 degrees
Atoms (fractional coordinates):
Er: 0.000 0.000 0.000
Er: 0.115 0.293 0.000
Er: 0.176 0.582 0.500
Er: 0.324 0.082 0.500
Er: 0.385 0.793 0.000
Er: 0.500 0.500 0.000
Er: 0.615 0.207 0.000
Er: 0.676 0.918 0.500
Er: 0.824 0.418 0.500
Er: 0.885 0.707 0.000
In: 0.108 0.840 0.500
In: 0.392 0.340 0.500
In: 0.608 0.660 0.500
In: 0.892 0.160 0.500
Co: 0.000 0.500 0.000
Co: 0.500 0.000 0.000

- DFT formation energy (eV/atom) = -0.30
- space-group type = Pbam (55)
- DOS at the Fermi energy (states/eV/cell) = 13.02

---

# 4
Here is TmSc2Tl after structural relaxation from the Alexandria database. Energies are from PBE-GGA.

Cell lengths 10.667, 10.667, 10.667 Å; angles 18.22, 18.22, 18.22 degrees
Atoms (fractional coordinates):
Tm: 0.000 0.000 0.000
Sc: 0.247 0.247 0.247
Sc: 0.753 0.753 0.753
Tl: 0.500 0.500 0.500

- DFT formation energy (eV/atom) = -0.07
- offset from the most stable computed form (kJ per mole of atoms) = 10.41
- space-group type = R-3m (166)
- DOS at the Fermi energy (states/eV/cell) = 4.85

---

Raw total energy values, unit eV per atom, following the record order: -5.981 -5.293 -4.729 -4.944.
M_tot values, unit μB per atom, following the record order: 0.0000 0.4646 0.0000 0.0000.
=====

Ideally I would actually just get someone else to do it or spray paint it.

For us, we really showed the up close and personal finish of the pain at each stage and I think that is the biggest difference as from a distance it looks amazing.  Only up close do you get to see the imperfections.

Which Method Works Best?

So, conclusion time. What method works best?  Well after using various different rollers and getting orange peel each time I would say if you like that effect then it would definitely be quicker to paint your van that way.  However if you are looking for a smoother finish then the paint pads that have more of a velvet texture are definitely the way to go.

If you missed the start of our painting the van journey you can catch that in our previous post.

After a few people from our Facebook Page asked about the products we used I created an easy to shop Van Build List on our Amazon Shop we may get a small commission when you click on our links at no additional cost to you and as always appreciate your support.

Join us in Week 7 where we complete the van painting after a lot of trial and error with varying techniques! You can also see how our Iveco Daily van Conversion has been progressing.